




  SHANGHAI — After a decade of effort in whichFacebook’s progress at courting China often seemedto stall, the social network finally gained an officialstatus in the country — at least temporarily.


  Facebook has registered a subsidiary in the city ofHangzhou, according to a Chinese governmentfiling, which said the company had gotten approvallast Wednesday. The subsidiary was financed withan investment of million, according to the records.

Crystal structures, kept here for reference =
The following is a theoretical X-ray powder pattern of TbSm2Dy2Er4. It was derived from a crystal structure in Alexandria, relaxed with GGA-PBE, using Cu Kα, 1.54184 Å.

Top 10 peaks for 2θ = 15–90°, in order of falling intensity:
(hkl), 2θ/deg, I_rel
3 1 -2, 32.09, 100
3 1 1, 33.80, 92
0 0 3, 31.34, 51
9 1 1, 61.18, 46
0 2 0, 51.10, 39
6 0 -1, 29.05, 36
3 1 -5, 55.14, 21
9 1 4, 87.46, 20
3 1 4, 58.47, 20
6 0 -2, 29.68, 18

Crystal structure
a = 18.570 Å, b = 3.576 Å, c = 9.506 Å
α = 90.00°, β = 115.73°, γ = 90.00°
Space group C2/m (No. 12)
One atom of each set of equivalent atoms:
Tb 0.000 0.000 0.000 (multiplicity 2)
Sm 0.166 0.500 0.000 (multiplicity 4)
Dy 0.147 0.000 0.663 (multiplicity 4)
Er 0.019 0.500 0.335 (multiplicity 4)
Er 0.185 0.000 0.336 (multiplicity 4)

~~~~~

# 1
Structure and simulated X-ray diffraction stick pattern of Ba8HgP2 (a structure optimized by DFT (GGA-PBE); Cu Kα).
Lines closer than 0.1° are merged.

Structure:
a = 10.5692 Å, b = 10.5692 Å, c = 6.5917 Å
α = 90.00°, β = 90.00°, γ = 120.00°
Fractional coordinates of all 11 atoms:
Ba (0.1671, 0.3354, 0.2477)
Ba (0.1684, 0.8329, 0.2477)
Ba (0.3333, 0.6667, 0.7631)
Ba (0.3354, 0.1684, 0.7523)
Ba (0.6646, 0.8316, 0.2477)
Ba (0.6667, 0.3333, 0.2369)
Ba (0.8316, 0.1671, 0.7523)
Ba (0.8329, 0.6646, 0.7523)
Hg (0.0000, 0.0000, 0.5000)
P (0.3333, 0.6667, 0.2724)
P (0.6667, 0.3333, 0.7276)

Peak list (10 most intense, 2θ = 10–90°, in order of rising 2θ)
2θ/deg, I_rel
16.57, 13
19.40, 14
23.67, 100
27.05, 13
33.51, 30
33.93, 44
41.79, 22
43.92, 20
45.81, 17
54.87, 20

# 2
Structure and simulated X-ray diffraction stick pattern of Ta5Pt3 (a structure optimized by DFT (GGA-PBE); Cu Kα).
Lines closer than 0.1° are merged.

Structure:
a = 7.7755 Å, b = 7.7755 Å, c = 5.1719 Å
α = 109.11°, β = 109.11°, γ = 83.84°
Fractional coordinates of all 16 atoms:
Ta (0.0055, 0.9945, 0.7500)
Ta (0.2012, 0.3577, 0.7755)
Ta (0.2010, 0.6419, 0.4215)
Ta (0.3577, 0.2012, 0.2755)
Ta (0.3581, 0.7990, 0.0785)
Ta (0.6419, 0.2010, 0.9215)
Ta (0.6423, 0.7988, 0.7245)
Ta (0.7990, 0.3581, 0.5785)
Ta (0.7988, 0.6423, 0.2245)
Ta (0.9945, 0.0055, 0.2500)
Pt (0.9997, 0.3306, 0.1580)
Pt (0.0003, 0.6694, 0.8420)
Pt (0.3306, 0.9997, 0.6580)
Pt (0.4991, 0.5009, 0.2500)
Pt (0.5009, 0.4991, 0.7500)
Pt (0.6694, 0.0003, 0.3420)

Peak list (10 most intense, 2θ = 10–90°, in order of rising 2θ)
2θ/deg, I_rel
34.69, 27
35.58, 32
35.75, 26
38.76, 100
38.90, 36
39.03, 19
39.71, 68
39.87, 77
42.65, 26
42.88, 23

# 3
Structure and simulated X-ray diffraction stick pattern of Sr2NiSn2H4 (a structure optimized by DFT (GGA-PBE); Cu Kα).
Lines closer than 0.1° are merged.

Structure:
a = 6.1102 Å, b = 6.1102 Å, c = 6.1102 Å
α = 115.35°, β = 115.35°, γ = 98.26°
Fractional coordinates of all 9 atoms:
Sr (0.2500, 0.7500, 0.5000)
Sr (0.7500, 0.2500, 0.5000)
Ni (0.0000, 0.0000, 0.0000)
Sn (0.3306, 0.3306, 0.0000)
Sn (0.6694, 0.6694, 0.0000)
H (0.1674, 0.1674, 0.3348)
H (0.1674, 0.8326, 0.0000)
H (0.8326, 0.1674, 0.0000)


  Yet late Tuesday, in a sign of possible complications, the corporate registration was takendown from the Chinese government website, and some references to the new subsidiaryappeared to be censored on social media in the country.


  The moves indicated how complicated it remains for Facebook to navigate China, where it hasbeen blocked for almost 10 years. If the subsidiary is allowed to proceed, it will be a toe inthe water here for the Silicon Valley company. Facebook said it wanted to use the subsidiary tocoordinate with Chinese developers in the closely censored market.


  Even to release an app in China, Facebook is likely to need a separate license fromregulators. To go further and introduce one of its larger products, like its social network ormessaging service, would require further negotiations over issues like data storage andsecurity. Facebook’s photo-sharing service, Instagram, and its messaging platform, WhatsApp, are also blocked in China.


  “We are interested in setting up an innovation hub in Zhejiang to support Chinesedevelopers, innovators and start-ups,” said Debbie Frost, a Facebook spokeswoman, referring tothe province in eastern China where Hangzhou is. “We have done this in several parts of theworld — France, Brazil, India, Korea — and our efforts would be focused on training andworkshops that help these developers and entrepreneurs to innovate and grow.”

  “我们有兴趣在浙江建立一个创新中心,以支持中国的开发者、创新者和初创企业,”Facebook发言人黛比·弗罗斯特(Debbie Frost)提到杭州所在的中国东部省份时说。“我们在全球很多地方——法国、巴西、印度、韩国——都这样做了,我们的努力将集中在培训和研讨会上,帮助这些开发者和创业者创新和成长。”

  The ruling Chinese Communist Party deems all social networks that it does not ultimatelycontrol, like Facebook and Twitter, as potentially destabilizing. A series of sophisticatedinternet filters block residents from gaining access to such sites. Networks within China oftenself-censor, but are still held closely accountable by government regulators.


  To get around those fears, some American companies, like LinkedIn, have voluntarily censoredtheir products.


  If Facebook started introducing services in China, it would probably face questions aboutwhether to censor content or share data with Beijing. The latter could be a particularly trickyissue for the social network while it is under scrutiny by the United States government forits handling of user data.

-- These data records were left in the article by mistake --
____________
# 1
Structure and calculated X-ray powder pattern of NdSm2Mg (a cell relaxed with PBE; Cu Kα (λ = 1.5418 Å)).
Intensities are scaled so that the largest is 100.

Top 10 peaks for 10° ≤ 2θ ≤ 90°, most intense first:
2θ 31.79, I 100; 2θ 56.64, I 39; 2θ 45.58, I 18; 2θ 75.53, I 16; 2θ 19.31, I 14; 2θ 66.43, I 12; 2θ 22.33, I 9; 2θ 37.46, I 8; 2θ 84.27, I 4; 2θ 51.32, I 4

Atomic structure:
```
NdSm2Mg
1.0
0.0000 3.9808 3.9808
3.9808 0.0000 3.9808
3.9808 3.9808 0.0000
Nd Sm Mg
1 2 1
Cartesian
0.0000 0.0000 0.0000
1.9904 1.9904 1.9904
5.9712 5.9712 5.9712
3.9808 3.9808 3.9808
```



# 2
Structure and calculated X-ray powder pattern of La3Sm6Y (a cell relaxed with PBE; Cu Kα (λ = 1.5418 Å)).
Intensities are scaled so that the largest is 100.

Top 10 peaks for 10° ≤ 2θ ≤ 90°, most intense first:
2θ 29.33, I 100; 2θ 31.38, I 77; 2θ 31.08, I 67; 2θ 29.10, I 66; 2θ 37.34, I 41; 2θ 57.83, I 31; 2θ 33.74, I 26; 2θ 26.49, I 24; 2θ 28.67, I 21; 2θ 48.28, I 20

Atomic structure:
```
La3Sm6Y
1.0
6.7297 -8.2037 0.0000
6.7297 8.2037 0.0000
0.0000 0.0000 6.3673
La Sm Y
6 12 2
Cartesian
6.7297 6.0150 3.1837
3.9386 1.1943 5.5438
3.9386 -1.1943 2.3601
9.5208 1.1943 5.5438
9.5208 -1.1943 2.3601
6.7297 -6.0150 0.0000
1.6129 0.9884 3.0861
3.7040 3.4646 2.0097
1.6129 -0.9884 6.2698
6.7297 4.2440 0.2240
6.7297 0.9938 0.9632
3.7040 -3.4646 5.1934
9.7554 3.4646 2.0097
6.7297 -0.9938 4.1469
6.7297 -4.2440 3.4077
11.8465 0.9884 3.0861
9.7554 -3.4646 5.1934
11.8465 -0.9884 6.2698
6.7297 2.5366 3.8047
6.7297 -2.5366 0.6210
```



# 3
Structure and calculated X-ray powder pattern of BaTh2MnN5 (a cell relaxed with PBE; Cu Kα (λ = 1.5418 Å)).
Intensities are scaled so that the largest is 100.

Top 10 peaks for 10° ≤ 2θ ≤ 90°, most intense first:
2θ 30.13, I 100; 2θ 29.73, I 70; 2θ 37.44, I 58; 2θ 31.66, I 35; 2θ 15.68, I 34; 2θ 54.92, I 28; 2θ 59.98, I 22; 2θ 49.82, I 22; 2θ 36.46, I 22; 2θ 55.43, I 19

Atomic structure:
```
BaTh2MnN5
1.0
-3.4847 3.4847 5.6530
3.4847 -3.4847 5.6530
3.4847 3.4847 -5.6530
Ba Th Mn N
2 4 2 10
Cartesian
0.0000 0.0000 2.8265
0.0000 0.0000 8.4795
4.7635 1.2788 0.0000
1.2788 2.2059 0.0000
2.2059 1.2788 5.6530
-1.2788 2.2059 5.6530
3.4847 0.0000 2.8265
0.0000 3.4847 2.8265
0.0000 0.0000 0.0000
4.4150 -0.9303 1.6077
2.5543 -0.9303 4.0453
2.5543 0.9303 1.6077
4.4150 0.9303 4.0453
0.0000 0.0000 5.6530
-0.9303 2.5543 1.6077
0.9303 2.5543 4.0453
0.9303 4.4150 1.6077
-0.9303 4.4150 4.0453
```

=====

Starting from DFT lattice parameters and positions (PBE+U), the XRD peak list of Mn2Rh2O7 was computed for λ = 1.5418 Å (Cu Kα).
Lines closer than 0.1° are merged.

Atomic structure:
```
Mn2Rh2O7
1.0
0.0000 4.9583 4.9583
4.9583 0.0000 4.9583
4.9583 4.9583 0.0000
Mn Rh O
4 4 14
Cartesian
0.0000 0.0000 0.0000
2.4792 2.4792 0.0000
2.4792 0.0000 2.4792
0.0000 2.4792 2.4792
4.9583 2.4792 2.4792
2.4792 4.9583 2.4792
2.4792 2.4792 4.9583
4.9583 4.9583 4.9583
1.2396 1.2396 1.2396
3.7187 3.7187 1.5812
3.7187 1.5812 3.7187
5.8563 3.7187 3.7187
6.1979 6.1979 4.0604
____________


  Facebook’s chief executive, Mark Zuckerberg, said in an interview last week with Recode’sKara Swisher that the company was “a long time away from doing anything” in China. He saidFacebook was working on products for China “over the long term,” but added: “We need tofigure out a solution that is in line with our principles and what we want to do, and in linewith the laws there, or else it’s not going to happen. Right now, there isn’t an intersection.”

  Facebook首席执行官马克·扎克伯格(Mark Zuckerberg)上周在接受Recode的卡拉·斯威瑟(Kara Swisher)采访时表示,该公司在中国“已经有很长一段时间什么都没做”。他说Facebook正在“从长远上”为中国开发产品,但补充道:“我们需要找到一个符合我们的原则、我们想做的事情,同时又符合那里的法律的解决方案,否则它就不会发生。目前,还没有这样的一个交集。”

  Facebook’s fortunes in China follow some progress here for Google, which has also seen itsproducts slowly squeezed out of the market. Over the past year, the search giant has set up anartificial-intelligence research lab in China and introduced several services, including an A.I.-powered sketching game.


  To court China, Mr. Zuckerberg previously pulled out all the stops, dining with China’spresident, hosting a question-and-answer session in Mandarin at a Chinese university and evenonce jogging across a smog-choked Tiananmen Square. The company also quietly worked on acensorship tool and released a photo-sharing app in China, called Colorful Balloons, withoutputting its name to the service.


  Despite not having any product or office in China, Facebook still does booming business here. The company sells ads across the world to Chinese companies and the Chinese government. Facebook’s ads are so in demand that China has been the company’s largest source of adrevenue in Asia.


  The legal representative for Facebook’s new China subsidiary was the same employee whoregistered the company that launched Colorful Balloons: Ivy Zhang, Facebook’s chiefrepresentative and head of business development in China.

  Facebook新中国分公司的法定代表人是注册了推出彩色气球的那家公司的同一名员工:Facebook首席代表兼中国业务发展主管张京梅(Ivy Zhang)。

  Also on the board of the new subsidiary with Ms. Zhang is William Shuai, Facebook’s Chinagovernment affairs representative and a former government relations executive at theChinese search engine Baidu and LinkedIn. Before holding those positions, Mr. Shuai was brieflya low-level official in the Chinese government.

  Facebook的中国政府事务代表、前中国搜索引擎百度和领英的政府关系主管率鹏(William Shuai)也与张京梅一起加入了新子公司的董事会。在担任这些职务之前,率鹏一度是中国政府的一名低级别官员。






